More information has surfaced about police actions in Bezhetsk, a small industrial city also located in Tver Oblast. That city has reportedly experienced more than one incident involving the physical abuse of dozens of citizens in the last six months. The Bezhetsk incidents came to light only on 14 March in an interview on Ekho Moskvy with Kirill Kabanov, the head of the National Anti-Corruption Committee. According to Kabanov, about two busloads of police officers from the Federal Service for the Control of the Drug Trade (FKSN) stormed cafes and other public places late on 3 March. They forced male patrons to undress in front of women and several people were beaten with rifle butts.
After Ekho Moskvy broke the story, Marat Khairullin, a journalist with "Novaya gazeta" and member of the Public Council for the Investigation of Blagoveshchensk Police Raids, gave interviews to RFE/RL's Moscow bureau,, Ren-TV, and the Regnum news agency providing more details of the "zachistki." Khairullin said that police stormed a local cafe, Charodeika, and everyone there, including women, were forced to lie on the floor. Those who objected were beaten. He told Ren-TV on 15 March that a policeman struck an elderly cleaning woman and sent her sprawling. Men were forced to disrobe as the police looked for drugs. Those who were taken in custody told Khairullin that the men were laid on the floor of the police office and handcuffed behind their backs for several hours. The officers reportedly demanded that they admit they were selling drugs. When those in custody were finally released, they allege that their cars and apartments appeared to have been searched and several valuable items taken. Khairullin told RFE/RL that some 12-15 people were detained, while around 50 people were beaten.
In an interview with on 16 March, Maksim Sidorenko, a deputy director of a local market in Bezhetsk, gave a detailed account of a similar police raid that took place on 24 November. He said the incident started with a small conflict with some men who came to their market trying to sell furniture. (Perhaps not coincidentally, the Starodeika cafe is located inside this market, according to Regnum on 16 March). The men had tried to sell their furniture at the market on previous occasions but had left after Sidorenko explained to them the market is for clothing only and is legally prohibited from selling furniture.
This time, however, they refused to leave, and Sidorenko called the police. But instead of carting away the furniture sellers, the police rounded up market workers, including Sidorenko, along with some people who happened to be in the market at the time, and forced them to lie down outside in the snow for about 30 minutes. The temperature was minus 15 degrees. According to Sidorenko, they removed his clothes, hit him in the head with a rifle, and kicked him. At the station house, they beat him so hard that one of his ribs fractured and pierced his lung. One officer stuck a sharp pencil in his nose and pressed his fingers into Sidorenko's eye. "They kicked and beat me with their automatics, demanding that I confess that I had created a crime group with the goal of monopolizing furniture trade in the city," Sidorenko alleges. According to, there are five furniture stores in Bezhetsk, and Maksim is neither a director, founder, nor partial owner of any of them, nor are any of his relatives. As a result of his encounter with the police, Maksim, 33, has become an invalid and speaks with a stutter.
So far, the mayor of Bezhetsk denies that any such incident involving police has taken place in his city, Khairullin told Ren-TV. Eduard Arsenev, head of the Bezhetsk interraion department of FSKN's Tver directorate, told in an interview published on 15 March that the FSKN did conduct an operation in Bezhetsk that was completed on 8 March. He said that FSKN received a tip that a group of residents were selling drugs. Several people were detained, and criminal cases have been opened. He said during the course of the raid the drug traders offered some resistance, which was met with force. However, no one touched "ordinary citizens," forced them to undress, or hit them with rifle butts. He added that no weapons were used and no bullets were fired.
In an interview with on 16 March, an FSKN officer in Tver who wished to remain anonymous was more forthcoming than Arsenev. "If people defy us, what do you want us to do?" the officer asked. "You see on television how the Federal Security Service (FSB) works when they conduct a raid. They also do not stand on ceremony if they meet resistance. We acted in Bezhetsk only within the framework of the law. Indeed, those people we picked up have already given consistent...depositions. They even cried, asked us to let them go, because they understood that the evidence [against them] was overwhelming. Drugs and weapons were seized. How do you think that the court would have given us approvals for searches, detentions, and arrests if we did something illegally? Who would take such responsibility? This whole uproar is because someone is [trying to] take care of their fate. This is [their] best defense -- we were attacked."
Meanwhile, a group of officials from various human rights organizations in Moscow left on 15 March to investigate the incidents in Tver firsthand, according to And, on 21 March, State Duma deputies are planning to open a receiving area for citizens of Bezhetsk. Kabanov told that "We possess the facts of the physical coercion and not simply with regard to those persons for whom a criminal case has been launched but also concerning those persons who happened to be located next to these people -- chance visitors to the cafe."
How local or national prosecutors choose to handle this evidence is anybody's guess. In the case of Blagoveshchensk, the Interior Ministry official charged with overseeing the investigation, Colonel General Sergei Shchadrin, was dismissed last month, just days after asking that the investigators probing the incident be replaced (see "RFE/RL Newsline," 23 and 28 February 2005). This week, two more policemen were charged with abuse of office, but human rights workers in Bashkortostan report that witnesses are being threatened with compromising material and the possibility of being charged with a crime themselves.
# Inserted here: calculated crystals
P | DFT (PBE) results for an optimized crystal structure of MgAg2O4.

## Properties
Calculated volume: 329 Å³/cell

a = 9.544 Å, b = 3.128 Å, c = 11.030 Å
α = 90.00°, β = 90.00°, γ = 90.00°
Fractional coordinates of all 28 atoms:
Mg1 0.250 0.250 0.158
Mg2 0.250 0.750 0.658
Mg3 0.750 0.250 0.342
Mg4 0.750 0.750 0.842
Ag1 0.067 0.250 0.389
Ag2 0.086 0.250 0.893
Ag3 0.414 0.750 0.393
Ag4 0.433 0.750 0.889
Ag5 0.567 0.250 0.111
Ag6 0.586 0.250 0.607
Ag7 0.914 0.750 0.107
Ag8 0.933 0.750 0.611
O1 0.023 0.750 0.776
O2 0.122 0.750 0.039
O3 0.127 0.250 0.572
O4 0.223 0.750 0.296
O5 0.277 0.250 0.796
O6 0.373 0.750 0.072
O7 0.378 0.250 0.539
O8 0.477 0.250 0.276
O9 0.523 0.750 0.724
O10 0.622 0.750 0.461
O11 0.627 0.250 0.928
O12 0.723 0.750 0.204
O13 0.777 0.250 0.704
O14 0.873 0.750 0.428
O15 0.878 0.250 0.961
O16 0.977 0.250 0.224



Q | DFT (PBE) results for an optimized crystal structure of MgAg2O4.

## Properties
Calculated volume: 724 Å³/cell

a = 6.274 Å, b = 6.274 Å, c = 20.998 Å
α = 97.70°, β = 97.70°, γ = 62.55°
Fractional coordinates of all 56 atoms:
Mg1 0.000 0.000 0.000
Mg2 0.123 0.123 0.874
Mg3 0.232 0.232 0.155
Mg4 0.249 0.249 0.750
Mg5 0.374 0.374 0.626
Mg6 0.500 0.500 0.500
Mg7 0.750 0.750 0.249
Mg8 0.982 0.982 0.405
Ag1 0.002 0.491 0.998
Ag2 0.004 0.498 0.501
Ag3 0.017 0.017 0.593
Ag4 0.246 0.751 0.249
Ag5 0.249 0.749 0.750
Ag6 0.272 0.272 0.344
Ag7 0.482 0.482 0.907
Ag8 0.491 0.002 0.998
Ag9 0.498 0.004 0.501
Ag10 0.522 0.522 0.093
Ag11 0.626 0.626 0.376
Ag12 0.731 0.731 0.658
Ag13 0.749 0.249 0.750
Ag14 0.751 0.246 0.249
Ag15 0.766 0.766 0.841
Ag16 0.874 0.874 0.125
O1 0.044 0.589 0.191
O2 0.062 0.062 0.697
O3 0.064 0.064 0.187
O4 0.113 0.537 0.692
O5 0.138 0.703 0.057
O6 0.181 0.181 0.058
O7 0.196 0.196 0.561
O8 0.211 0.638 0.558
O9 0.284 0.862 0.942
O10 0.299 0.299 0.939
O11 0.313 0.313 0.450
O12 0.342 0.800 0.441
O13 0.386 0.959 0.807
O14 0.436 0.436 0.802
O15 0.448 0.448 0.312
O16 0.456 0.889 0.310
O17 0.537 0.113 0.692
O18 0.549 0.549 0.691
O19 0.561 0.561 0.199
O20 0.589 0.044 0.191
O21 0.638 0.211 0.558
O22 0.687 0.687 0.550
O23 0.696 0.696 0.056
O24 0.703 0.138 0.057
O25 0.800 0.342 0.441
O26 0.811 0.811 0.439
O27 0.811 0.811 0.946
O28 0.862 0.284 0.942
O29 0.889 0.456 0.310
O30 0.933 0.933 0.305
O31 0.949 0.949 0.808
O32 0.959 0.386 0.807



R | DFT (PBE) results for an optimized crystal structure of MgAg2O4.

## Properties
Calculated volume: 175 Å³/cell

a = 6.151 Å, b = 6.151 Å, c = 6.151 Å
α = 116.04°, β = 113.78°, γ = 99.08°
Fractional coordinates of all 14 atoms:
Mg1 0.500 0.000 0.000
Mg2 0.500 0.500 0.500
Ag1 0.000 0.000 0.000
Ag2 0.099 0.349 0.750
Ag3 0.500 0.000 0.500
Ag4 0.901 0.651 0.250
O1 0.236 0.192 0.456
O2 0.236 0.780 0.044
O3 0.296 0.744 0.552
O4 0.308 0.256 0.052
O5 0.692 0.744 0.948
O6 0.704 0.256 0.448
O7 0.764 0.220 0.956
O8 0.764 0.808 0.544



Relative energies, in meV/atom, with the most stable structure set to zero: P 95; Q 15; R 0.
# End of the calculated crystals
Already, the Blagoveshchensk events have had an impact on public perception of the police in Russia. The Public Opinion Foundation ( conducted a survey before news of the incidents in Bezhetsk were reported and found that 41 percent of respondents are afraid of becoming victims of police violence, the foundation's website reported on 17 March. Forty-six percent of youthful respondents said they are afraid, compared with 31 percent of the elderly. Respondents who knew about the police raids in December in Blagoveshchensk were more afraid than those who didn't; some 17 percent of respondents knew about the alleged police violence there. Fifty-six percent of those who had heard about the incident believe that similar events could take place in their regions.